Page 49 of Wrecked By You
Hands on my hips, I pivoted. “I don’t have time for dinner.”
Her face softened. “Please, Johannes. For me.”
I ground my teeth. Goddamn woman knew which buttons to press. I was awful to her, yet she read me easier than anyone in my family. It was like she knew, on an instinctual level, that my sniping attitude was the only thing holding the crumbling walls inside me together.
“Fine. Seven it is. But I have to be back at the club before ten.”
“Done.” Gia dusted off her hands. “Can’t wait to spend time in your sparkling company.”
Penn snickered. Gia grinned. I grimaced.
Fuckers. Both of them.
“I hope you’re hungry.” Gia sashayed into my office, trailing a finger over my desk as if she were checking for dust. “So this is where the Johannes Kingcaid magic happens, huh?”
I grabbed my jacket off the coat hanger. “Where are we going, anyway?”
“Ask Gia,” Penn said. “She booked it, but she won’t tell me where.”
“We are going…” She paused theatrically. “To Hard Rock Cafe.”
“No.” I shook my head. “I hate chain restaurants.”
“Yes,” she insisted. “It’s the most amazing place. So much fun, and Lord knows, you need to have some fun.” Gia linked her arm through mine, tugging me toward the door. “Have you even been to one?”
“Then you can’t judge, can you?”
Damn woman is intractable.
“Fine. On your own head be it.”
“That’s the spirit.”
“Has anyone ever mentioned that you’re the most frustrating woman in the world?” I drawled.
== What comes next are molecular data, not part of the page ==
- - -
--- i ---
Formula: C3H9BO
Source: OMol25
Level of theory: the ωB97M-V functional and the def2-TZVPD basis

Structure (XYZ):
```
14
C3H9BO the ωB97M-V functional and the def2-TZVPD basis
C 0.00 -2.81 -0.72
C -0.74 -2.00 0.37
B 0.00 -0.69 0.67
O 0.76 0.17 1.07
H -0.42 -3.83 -0.75
H -0.10 -2.35 -1.66
H 0.96 -2.87 -0.38
H -1.78 -1.97 0.14
H -0.74 -2.60 1.29
C 0.38 3.73 0.04
H -0.35 3.10 0.54
H 1.18 4.21 0.60
H -0.02 4.67 -0.36
H 0.87 3.23 -0.86
```

Its HOMO energy is -11.97 eV. For the LUMO energy, the calculation gives 0.0188 hartree. Its net charge is 0. The calculation puts the HOMO-LUMO gap at 12.483 eV.

=====

--- ii ---
Formula: C3H9BO
Source: OMol25
Level of theory: the ωB97M-V functional and the def2-TZVPD basis

Structure (XYZ):
```
14
C3H9BO the ωB97M-V functional and the def2-TZVPD basis
C 0.01 1.46 0.46
B 0.09 -0.10 0.08
C 1.89 -0.81 -0.21
C -1.27 -0.93 -0.15
O -2.37 -0.03 -0.02
H -1.05 1.81 0.29
H 0.66 2.03 -0.18
H 0.49 1.57 1.46
H 2.26 -0.86 -1.27
H 1.84 -1.82 0.09
H 2.43 -0.14 0.36
H -1.33 -1.34 -1.19
H -1.45 -1.71 0.67
H -2.21 0.87 -0.39
```

Its HOMO energy is -9.70 eV. For the LUMO energy, the calculation gives 0.0211 hartree. Its net charge is 0. The calculation puts the HOMO-LUMO gap at 10.276 eV.

=====

What should be chosen as the least stable of them? Choose ii.

=====

--- i ---
Formula: C5H6Si
Source: OMol25
Level of theory: the ωB97M-V functional and the def2-TZVPD basis

Structure (XYZ):
```
12
C5H6Si the ωB97M-V functional and the def2-TZVPD basis
C -1.62 2.76 -0.39
C 3.15 0.97 -0.65
C -0.70 2.09 -0.05
C 2.15 0.79 -0.02
C -0.89 -1.62 0.16
Si 0.45 0.74 0.71
H -2.36 3.37 -0.73
H 4.15 0.63 -0.84
H -0.62 -2.51 0.75
H -1.83 -1.00 0.43
H -0.66 -1.84 -0.89
H 0.53 0.96 2.11
```

Its HOMO energy is -8.66 eV. For the LUMO energy, the calculation gives -0.0084 hartree. Its net charge is 0. The calculation puts the HOMO-LUMO gap at 8.434 eV.

=====

--- ii ---
Formula: C5H6Si
Source: OMol25
Level of theory: the ωB97M-V functional and the def2-TZVPD basis

Structure (XYZ):
```
12
C5H6Si the ωB97M-V functional and the def2-TZVPD basis
C -0.86 -1.18 -1.75
C -2.07 -1.35 -1.35
C 2.54 2.41 0.64
C 2.95 1.68 1.48
C -1.17 -0.63 -0.34
Si -0.79 -1.51 1.24
H -0.07 -1.24 -2.38
H -3.05 -1.93 -1.46
H 2.00 2.84 -0.22
H 3.40 1.19 2.37
H -1.45 0.41 -0.43
H -1.44 -0.69 2.21
```

Its HOMO energy is -7.92 eV. For the LUMO energy, the calculation gives -0.0173 hartree. Its net charge is 0. The calculation puts the HOMO-LUMO gap at 7.444 eV.

=====

What should be chosen as the least stable of them? Choose ii.

=====

--- i ---
Formula: C5H17NO2
Source: OMol25
Level of theory: the ωB97M-V functional and the def2-TZVPD basis

Structure (XYZ):
```
25
C5H17NO2 the ωB97M-V functional and the def2-TZVPD basis
C 2.77 -0.93 0.19
C 1.36 -0.50 0.57
C 1.08 0.99 0.50
C 0.81 1.47 -0.90
C -0.23 0.72 -1.75
N -1.47 0.51 -1.06
H 3.01 -0.82 -0.90
H 2.66 -2.07 0.22
H 3.67 -0.81 0.79
H 0.58 -0.89 -0.09
H 1.13 -0.72 1.68
H 1.91 1.49 0.96
H 0.26 1.18 1.23
H 1.74 1.67 -1.51
- - -
Penn chuckled. “Yeah. Me. Regularly.”
He received a sharp dig in the ribs for his troubles. “You love me.”
Catching her around the waist, he kissed her hard on the lips. “Yeah, I do.”
“Jesus,” I muttered. “Can we just get this fucking dinner over with?”
I pointed to the door, and at that exact moment, it opened and Ella walked in. She startled when she realized I wasn’t alone. “Oh, sorry to interrupt. I wasn’t aware you had company.”
My stomach flipped, and my pulse increased to double time. God, she was beautiful with her windswept ebony tresses and her makeup-free face. I yearned to kiss her again, to feel those plump lips against mine, to taste her if only to remind myself of what I could never have.
“What are you doing here?” I snapped. “You don’t work Saturdays.”
“I-I know. I just…”
She trailed off, her eyes falling away from mine and staring at the floor. The air around me stilled, silence cloaking me. The only sound was my thunderous heartbeat pounding in my ears. I hadn’t expected to see her, and now here she was, standing before me, a sight I’d begun to crave.
I caught Gia raising her eyebrows in my peripheral vision, her gaze volleying between me and Ella. And then she nodded as if she’d found an answer to an unasked question.